It remains to say how many lines of the listing below hold the word "pattern", as a bare number.

+++
The following is a computed PXRD pattern of FeB6O6. It was derived from a structure optimized by DFT (PBE+U), using Cu Kα, 1.54184 Å.

Largest 8 diffraction maxima, low angle first, 2θ from 5° to 70°:
Position (°2θ), I (rel.)
14.3, 100
20.7, 20
21.6, 14
26.2, 14
29.0, 12
29.2, 55
41.6, 13
41.9, 29

Atomic structure:
```
FeB6O6
1.0
4.1054 -2.7681 0.0000
4.1054 2.7681 0.0000
-4.0078 0.0000 6.1897
Fe B O
1 6 6
Cartesian
0.0000 0.0000 0.0000 Fe
1.7865 0.9265 0.6684 B
-0.0234 0.0000 4.6747 B
1.7865 -0.9265 0.6684 B
2.4165 0.9265 5.5213 B
4.2264 0.0000 1.5150 B
2.4165 -0.9265 5.5213 B
-0.6256 1.2242 4.6589 O
2.7834 0.0000 1.4208 O
4.8286 1.2242 1.5308 O
-0.6256 -1.2242 4.6589 O
1.4196 0.0000 4.7690 O
4.8286 -1.2242 1.5308 O
```


# In4ICl3
Simulated XRD peak list, Cu Kα, 1.54184 Å. Input: a crystal structure in Alexandria, relaxed with GGA-PBE.
Lines closer than 0.1° are merged.

Atomic structure:
Cell: 9.5493 10.1168 6.6155 Å, 90.00 90.00 90.00°
Space group Pmn2_1 (No. 31)
Asymmetric unit:
In 0.0000 0.1671 0.0000 x2
In 0.0000 0.8206 0.4023 x2
In 0.1811 0.6435 0.9666 x4
I 0.0000 0.2600 0.5200 x2
Cl 0.0000 0.8945 0.7980 x2
Cl 0.2299 0.6461 0.5266 x4

Main lines, in order of rising 2θ (2θ = 5–70°):
| 2θ/deg | intensity | hkl |
| --- | --- | --- |
| 17.5 | 79 | 0 2 0 |
| 20.6 | 76 | 2 1 0 |
| 22.1 | 100 | 0 2 1 |
| 27.0 | 84 | 0 0 2 |
| 29.9 | 38 | 1 1 2 |
| 32.5 | 76 | 2 3 0 |
| 40.3 | 63 | 3 1 2 |
| 42.7 | 49 | 2 3 2 |

# Nb8Pb6O25
Simulated XRD peak list, Cu Kα, 1.54184 Å. Input: a crystal structure in Alexandria, relaxed with GGA-PBE.
Lines closer than 0.1° are merged.

Atomic structure:
Cell: 10.7406 10.9083 10.6051 Å, 90.00 90.19 90.00°
Space group C2 (No. 5)
Asymmetric unit:
Nb 0.1176 0.0000 0.3740 x4
Nb 0.1271 0.5021 0.8801 x4
Nb 0.1296 0.7519 0.1247 x4
Nb 0.1311 0.2508 0.6260 x4
Pb 0.1013 0.2417 0.1132 x4
Pb 0.1175 0.7503 0.6344 x4
Pb 0.1336 0.5055 0.3655 x4
O 0.0000 0.2947 0.5000 x2
O 0.0000 0.4270 0.0000 x2
O 0.0000 0.6241 0.5000 x2
O 0.0000 0.7853 0.0000 x2
O 0.0000 0.9171 0.5000 x2
O 0.0025 0.1149 0.3127 x4
O 0.0031 0.6102 0.8015 x4
O 0.0604 0.8581 0.2550 x4
O 0.0617 0.3568 0.7541 x4
O 0.1871 0.6136 0.0008 x4
O 0.1908 0.1076 0.5025 x4
O 0.2417 0.6732 0.2582 x4
O 0.2453 0.3582 0.9360 x4
O 0.2481 0.0418 0.2495 x4
O 0.2487 0.3627 0.5546 x4

Main lines, in order of rising 2θ (2θ = 5–70°):
| 2θ/deg | intensity | hkl |
| --- | --- | --- |
| 14.3 | 8 | 1 1 -1 |
| 28.8 | 100 | 2 2 -2 |
| 32.8 | 14 | 0 4 0 |
| 33.4 | 11 | 4 0 0 |
| 33.8 | 12 | 0 0 4 |
| 47.5 | 13 | 4 4 0 |
| 47.9 | 14 | 0 4 4 |
| 56.1 | 8 | 2 6 -2 |

# Na6HgPb2
Simulated XRD peak list, Cu Kα, 1.54184 Å. Input: a crystal structure in Alexandria, relaxed with GGA-PBE.
Lines closer than 0.1° are merged.

Atomic structure:
Cell: 8.6266 9.3914 6.2917 Å, 90.00 97.64 90.00°
Space group C2/m (No. 12)
Asymmetric unit:
Na 0.0000 0.1692 0.0000 x4
Na 0.1654 0.3348 0.6696 x8
Hg 0.0000 0.0000 0.5000 x2
Pb 0.1801 0.5000 0.1792 x4

Main lines, in order of rising 2θ (2θ = 5–70°):
| 2θ/deg | intensity | hkl |
| --- | --- | --- |
| 19.0 | 100 | 0 2 0 |
| 26.8 | 10 | 2 0 1 |
| 32.8 | 28 | 3 1 0 |
| 33.1 | 63 | 1 3 -1 |
| 33.3 | 45 | 2 0 -2 |
| 38.5 | 12 | 2 2 -2 |
| 47.4 | 11 | 2 4 1 |
| 58.9 | 19 | 3 5 0 |

# Ac4Ge2SCl
Simulated XRD peak list, Cu Kα, 1.54184 Å. Input: a crystal structure in Alexandria, relaxed with GGA-PBE.
Lines closer than 0.1° are merged.

Atomic structure:
Cell: 6.3409 6.3409 12.6110 Å, 90.00 90.00 90.00°
Space group I4/mmm (No. 139)
Asymmetric unit:
Ac 0.0000 0.0000 0.2417 x4
Ac 0.0000 0.5000 0.0000 x4
Ge 0.0000 0.5000 0.2500 x4
S 0.0000 0.0000 0.0000 x2
Cl 0.0000 0.0000 0.5000 x2

Main lines, in order of rising 2θ (2θ = 5–70°):
| 2θ/deg | intensity | hkl |
| --- | --- | --- |
| 24.4 | 99 | 1 1 2 |
| 28.1 | 100 | 2 0 0 |
| 28.3 | 48 | 0 0 4 |
| 40.2 | 39 | 2 2 0 |
| 40.3 | 75 | 2 0 4 |
| 47.6 | 36 | 3 1 2 |
| 49.9 | 41 | 2 2 4 |
| 65.9 | 36 | 4 2 0 |

# CdSnHg2Br4
+++

1